What food/chemicals to put in tank?


New Member
Hello! I posted this on another site and really didn't get an answer to my questions so I was hoping someone here could help me out. I was wondering what exactly I should be feeding "everyone" in my tank and should I be adding all of these things together? I would think not but not sure. In the tank I have few mushrooms - "reg" and stripped, a white anemone, 2 flame scallops, a chocolate starfish, something else that is large but I'm not sure exactly what it is though I think it's a type of mushroom. Also, a very tiny feather duster and a few other unidentifiable things. There is also a nice supply of macro algae and a few assorted crabs and tiny snails and a bunch of "bugs" that hide in the rocks during the day and come out at night.
These are the chemicals and foods I have.
1. Coralife - Invertebrate Smorgasbord
2. Coralife - Iron Supplement
3. Coralife - Invertebrate Vitamin Formula
4. Coralife - Invertebrate Appetite Supplement
5. Seachem - Reef Plus
6. Seachem - Reef Calcium
7. Kent Marine - Concentrated Iodine
8. Kent Marine - Micro-Vert
9. Kent Marine - Strontium & Molybdenum
10. Kent Marine - Zoo Plex
-I really need to know if there is anything else I need in addition to these things?
-What SPECIFICALLY should I be using and how often.
- I would also like to increase my purple coraline.
-Is there something here I should not be using and Why?
I know this is asking a lot but I truly need the help. About a year ago my 130 gallon reef crashed . I had just bought it and for whatever reason after the tank and corals were moved to their "new home" EVERYTHING died. I didn't have the money to redo the tank so I sold it. Recently a lady I know gave me her approx. 50 gallon saltwater tank . Then there was an aquarium listed on an auction for a very mature reef tank with a bunch of live rocks, corals, great PC lights, 404 fluval filter, wet/dry, and a bunch of other stuff for only $200!! I bid and won the tank . I took all the parts, rocks, corals from that tank and put it in mine for an awesome set up. So now I have this truly incredible tank (at least I think so) but with my limited knowledge am SO afraid that I am going to kill everything. So if anyone can spare a few minutes and tell me out of the list of things what I should be using and how often I would truly be indebt. I would also like to thank everyone who has already answered some of my previous questions.
To see picture of my tank - click on the link belowe - if you look please feel free to make any comments or suggestions - positive, negative, neutral


I stay with a little food and saty away from all those snake oils you listed. Water changes and Ca, ALK buffers should be all you need. Spend the money on test kits.
Is that a chocolate chip starfish? That might not be the best thing for your tank.

nm reef

== The article is interrupted by calculated crystals ==
=====
1.
A relaxed Sr2TcTe crystal. Source: Alexandria via LeMat-Bulk, functional GGA-PBEsol.

Cell and atoms, written as POSCAR:
```
Sr2TcTe
1.0
0.0000 3.6289 3.6289
3.6289 0.0000 3.6289
3.6289 3.6289 0.0000
Sr Tc Te
2 1 1
direct
0.0000 0.0000 0.0000
0.2500 0.2500 0.2500
0.5000 0.5000 0.5000
0.7500 0.7500 0.7500
```

Calculated values
Formation energy (no corrections)   295 meV/atom
DFT total energy   -4.323 eV/atom
Total magnetization   0.8 μB/f.u.
Fermi-level density of states   1.536 states/eV per atom

2.
A relaxed ZrScPt2 crystal. Source: Alexandria via LeMat-Bulk, functional GGA-PBEsol.

Cell and atoms, written as POSCAR:
```
ZrScPt2
1.0
3.0624 0.0000 0.0000
0.0000 3.3792 0.0000
0.0000 0.0000 6.8084
Zr Sc Pt
1 1 2
direct
0.0000 0.0000 0.0000
0.0000 0.0000 0.5000
0.5000 0.5000 0.2590
0.5000 0.5000 0.7410
```

Calculated values
DFT total energy   -8.459 eV/atom
Energy relative to the elements   -1054 meV per atom
Total magnetization   0.0 μB/f.u.
Fermi-level density of states   0.823 states/eV per atom

3.
A relaxed MgTa4W crystal. Source: Alexandria via LeMat-Bulk, functional GGA-PBEsol.

Cell and atoms, written as POSCAR:
```
MgTa4W
1.0
0.0000 3.8022 3.8022
3.8022 0.0000 3.8022
3.8022 3.8022 0.0000
Mg Ta W
1 4 1
direct
0.0000 0.0000 0.0000
0.1277 0.6241 0.6241
0.6241 0.1277 0.6241
0.6241 0.6241 0.1277
0.6241 0.6241 0.6241
0.2500 0.2500 0.2500
```

Calculated values
DFT total energy   -10.433 eV/atom
Energy relative to the elements   522 meV per atom
Total magnetization   0.0 μB/f.u.
Fermi-level density of states   1.377 states/eV per atom

4.
A relaxed Zr2Ga3Co crystal. Source: Alexandria via LeMat-Bulk, functional GGA-PBEsol.

Cell and atoms, written as POSCAR:
```
Zr2Ga3Co
1.0
4.8199 -2.0708 0.0000
4.8199 2.0708 0.0000
-4.2480 0.0000 4.8486
Zr Ga Co
2 3 1
direct
0.0000 0.0000 0.0000
0.0814 0.0814 0.5802
0.3667 0.3667 0.1590
0.3969 0.3969 0.6245
0.7087 0.7087 0.3940
0.7141 0.7141 0.0100
```

Calculated values
DFT total energy   -6.568 eV/atom
Energy relative to the elements   -579 meV per atom
Total magnetization   0.0 μB/f.u.
Fermi-level density of states   0.731 states/eV per atom

~~~~~

No. 1
KCoW, relaxed, DFT GGA-PBEsol; energy = -5.74 eV per atom; V = 17.3 Å³/atom; SG = No. 156; relative energy among the computed polymorphs = 0.00 eV per formula unit
1.0
-0.988 -2.223 0.823
4.405 -1.475 1.304
-2.771 2.395 3.142
Co K W
1 1 1
direct
0.032 0.000 0.000
0.659 0.333 0.667
0.309 0.667 0.333

***

No. 2
KCoW, relaxed, DFT GGA-PBEsol; energy = -5.24 eV per atom; V = 18.4 Å³/atom; SG = No. 216; relative energy among the computed polymorphs = 1.49 eV per formula unit
1.0
-2.783 -3.053 -1.101
1.161 -3.060 -2.751
0.569 -4.008 1.376
Co K W
1 1 1
direct
0.000 0.000 0.000
0.500 0.500 0.500
0.250 0.250 0.250

***

No. 3
KCoW2, relaxed, DFT GGA-PBEsol; energy = -7.50 eV per atom; V = 16.9 Å³/atom; SG = No. 47; relative energy among the computed polymorphs = 2.78 eV per formula unit
1.0
-0.829 -2.601 -0.650
3.543 -0.381 -2.993
2.988 -1.897 3.779
Co K W
=====

Active Member
Hmmm...long list of stuff to add. First thing I'd ask myself is this..."if I put this in my aquarium can I accurately test for it and what would I add this for?"If I don't have a specific reason for adding any type of suppliment I avoid it...and if I use a supplimnet of any kind I like to be able to test for it(accurately) and I'd like to know what levels need to be maintained.
I suppliment only for calcium/alkalinity/magnesium...other than that I feed an assortment of meaty/flake foods and I add DT's Phytoplankton.
Maybe it would be best to just let your system establish and mature a bit...as you gain experience things will be much easier. I looked at the pic you have posted and it looks like you got a very nice start....the water level looks low but from what I could tell you have a nice reef started. Just take your time....ask questions along the way and be patient.
Best of luck with your new reef and keep us posted on its progress.


I know it can be overwhelming when you are looking at all those bottles of chemicals. It was to me when I first started, and I am only 1 year into this. The first thing you want to do is work on your calcium and alk levels. You can do a search on this board for tables that ouline acceptable levels. I use a 2 part additive called C-Balance. You can use what you have- it will work fine. You should get a good test kit to measure these two things. Salifert makes good ones. Once you get acceptable levels for these two things, you should consider dripping kalkwasser. This keeps the levels stable for the most part.
As far as the other stuff you have, if you are not testing for it, dont add it. You can mess your tank up by adding things such as strontium and iodine if you do it blindly.
As far as food, you should feed the corals some type of phytoplankton. I recommend DT's.
The most important thing you can do IMO is water changes. At least once a month approx 15-20%. This will keep the trace elements/Iodine/Strontium at acceptable levels. As your tank uses these things, the water change replenishes these levels.
If you want to use the trace elements you bought, make sure you buy test kits and monitor the levels.
I hope that helps a bit....good luck!